Contents >
=====
(1)
This record from the Alexandria database describes a geometry-optimized GaRuI2N structure. The functional is PBE.

a = 5.773 Å, b = 5.773 Å, c = 3.605 Å
α = 90.00°, β = 90.00°, γ = 90.00°
Site moments in Bohr magnetons follow the coordinates.
Positions (direct):
1 I 0.000 0.500 0.000  0.16
2 I 0.500 0.000 0.000  0.16
3 Ru 0.500 0.500 0.500  2.65
4 Ga 0.000 0.000 0.000  -0.02
5 N 0.000 0.000 0.500  0.49

Computed properties:
Theoretical density = 6.06 g cm⁻³
SG = P4/mmm (123)
Volume = 24.03 Å³ per atom
Excess energy over the best structure of this formula in the dataset = 881 meV/atom
Formation energy without anion corrections = 1117.7 meV per atom
Energy = -18.1 eV/cell
Magnetization = 0.7890 μB per atom


(2)
This record from the Alexandria database describes a geometry-optimized Ce2CuSnAu6 structure. The functional is PBE.

a = 7.102 Å, b = 7.131 Å, c = 7.131 Å
α = 44.97°, β = 83.14°, γ = 103.51°
Site moments in Bohr magnetons follow the coordinates.
Positions (direct):
1 Ce 0.246 0.747 0.495  0.89
2 Ce 0.754 0.253 0.505  0.89
3 Au 0.670 0.692 0.475  0.00
4 Au 0.250 0.747 0.063  0.01
5 Au 0.941 0.785 0.816  0.01
6 Au 0.330 0.308 0.525  0.00
7 Au 0.059 0.215 0.184  0.01
8 Au 0.750 0.253 0.937  0.01
9 Cu 0.000 0.000 0.000  0.01
10 Sn 0.500 0.500 0.000  -0.01

Computed properties:
Theoretical density = 12.09 g cm⁻³
SG = P-1 (2)
Volume = 22.59 Å³ per atom
ΔE_f = -0.35 eV per atom
Energy = -43.1 eV/cell
Magnetization = 0.2083 μB per atom

----------

Record 1
## La2CdSn4 (PBE-GGA)

Data for a relaxed La2CdSn4 crystal.

Lattice parameters (Å, degrees): 5.4504 5.4504 15.9387 90.00 90.00 90.00
Last column: nearest neighbours and their distance in Å.
Positions (direct):
La  0.0000  0.0000  0.1264  5 Sn 3.20-3.39
La  0.0000  0.0000  0.8736  5 Sn 3.20-3.39
La  0.5000  0.5000  0.3736  5 Sn 3.20-3.39
La  0.5000  0.5000  0.6264  5 Sn 3.20-3.39
Cd  0.0000  0.0000  0.5000  6 Sn 2.73-2.76
Cd  0.5000  0.5000  0.0000  6 Sn 2.73-2.76
Sn  0.0000  0.0000  0.3269  1 Cd 2.76
Sn  0.0000  0.0000  0.6731  1 Cd 2.76
Sn  0.0000  0.5000  0.0000  2 Cd 2.73
Sn  0.0000  0.5000  0.5000  2 Cd 2.73
Sn  0.5000  0.0000  0.0000  2 Cd 2.73
Sn  0.5000  0.0000  0.5000  2 Cd 2.73
Sn  0.5000  0.5000  0.1731  1 Cd 2.76
Sn  0.5000  0.5000  0.8269  1 Cd 2.76

The density of states at the Fermi level is 6.1 states/eV per cell. The magnetization comes out at 0.0 μB/cell. Its offset from the most stable computed form is 318 meV/atom.

***

Record 2
## DyHgPd2 (PBE-GGA)

Data for a relaxed DyHgPd2 crystal.

Lattice parameters (Å, degrees): 4.4778 4.4778 3.8904 90.00 90.00 90.00
Last column: nearest neighbours and their distance in Å.
Positions (direct):
Dy  0.0000  0.0000  0.0000  8 Pd 2.97, 4 Hg 3.17
Hg  0.5000  0.5000  0.0000  8 Pd 2.97, 4 Dy 3.17
Pd  0.0000  0.5000  0.5000  4 Hg 2.97, 4 Dy 2.97, 4 Pd 3.17
Pd  0.5000  0.0000  0.5000  4 Hg 2.97, 4 Dy 2.97, 4 Pd 3.17

The density of states at the Fermi level is 2.3 states/eV per cell. The total energy is -4.442 eV per atom. The magnetization comes out at 0.0 μB/cell.

***

Record 3
## Pm2SmEr4Tm (PBE-GGA)

Data for a relaxed Pm2SmEr4Tm crystal.

Lattice parameters (Å, degrees): 9.4801 9.4801 9.4801 138.10 103.28 91.49
Last column: nearest neighbours and their distance in Å.
Positions (direct):
Pm  0.0000  0.0000  0.0000  6 Er 3.31-3.40, 2 Sm 3.39
Pm  0.5000  0.0000  0.0000  6 Er 3.37-3.44, 2 Pm 3.39
Pm  0.5000  0.0000  0.5000  6 Er 3.31-3.40, 2 Sm 3.39
Pm  0.5000  0.5000  0.5000  6 Er 3.37-3.44, 2 Pm 3.39
Sm  0.0000  0.5000  0.5000  6 Er 3.31-3.40, 2 Pm 3.39
Sm  0.5000  0.5000  0.0000  6 Er 3.31-3.40, 2 Pm 3.39
Er  0.2452  0.2453  0.5000  1 Tm 3.24, 3 Pm 3.37-3.40, 2 Er 3.39, 2 Sm 3.40
Er  0.2454  0.2500  0.9954  1 Sm 3.31, 3 Pm 3.31-3.44, 2 Tm 3.35, 2 Er 3.39
Er  0.2452  0.7452  0.0000  1 Tm 3.24, 3 Pm 3.37-3.40, 2 Er 3.39, 2 Sm 3.40
Er  0.2454  0.7500  0.4954  1 Sm 3.31, 3 Pm 3.31-3.44, 2 Tm 3.35, 2 Er 3.39
Er  0.7546  0.2500  0.5046  1 Sm 3.31, 3 Pm 3.31-3.44, 2 Tm 3.35, 2 Er 3.39
=====

Brief >
Return the lines further above up to the one that holds "4.4778 4.4778", that line included.

Solution >
(1)
This record from the Alexandria database describes a geometry-optimized GaRuI2N structure. The functional is PBE.

a = 5.773 Å, b = 5.773 Å, c = 3.605 Å
α = 90.00°, β = 90.00°, γ = 90.00°
Site moments in Bohr magnetons follow the coordinates.
Positions (direct):
1 I 0.000 0.500 0.000  0.16
2 I 0.500 0.000 0.000  0.16
3 Ru 0.500 0.500 0.500  2.65
4 Ga 0.000 0.000 0.000  -0.02
5 N 0.000 0.000 0.500  0.49

Computed properties:
Theoretical density = 6.06 g cm⁻³
SG = P4/mmm (123)
Volume = 24.03 Å³ per atom
Excess energy over the best structure of this formula in the dataset = 881 meV/atom
Formation energy without anion corrections = 1117.7 meV per atom
Energy = -18.1 eV/cell
Magnetization = 0.7890 μB per atom


(2)
This record from the Alexandria database describes a geometry-optimized Ce2CuSnAu6 structure. The functional is PBE.

a = 7.102 Å, b = 7.131 Å, c = 7.131 Å
α = 44.97°, β = 83.14°, γ = 103.51°
Site moments in Bohr magnetons follow the coordinates.
Positions (direct):
1 Ce 0.246 0.747 0.495  0.89
2 Ce 0.754 0.253 0.505  0.89
3 Au 0.670 0.692 0.475  0.00
4 Au 0.250 0.747 0.063  0.01
5 Au 0.941 0.785 0.816  0.01
6 Au 0.330 0.308 0.525  0.00
7 Au 0.059 0.215 0.184  0.01
8 Au 0.750 0.253 0.937  0.01
9 Cu 0.000 0.000 0.000  0.01
10 Sn 0.500 0.500 0.000  -0.01

Computed properties:
Theoretical density = 12.09 g cm⁻³
SG = P-1 (2)
Volume = 22.59 Å³ per atom
ΔE_f = -0.35 eV per atom
Energy = -43.1 eV/cell
Magnetization = 0.2083 μB per atom

----------

Record 1
## La2CdSn4 (PBE-GGA)

Data for a relaxed La2CdSn4 crystal.

Lattice parameters (Å, degrees): 5.4504 5.4504 15.9387 90.00 90.00 90.00
Last column: nearest neighbours and their distance in Å.
Positions (direct):
La  0.0000  0.0000  0.1264  5 Sn 3.20-3.39
La  0.0000  0.0000  0.8736  5 Sn 3.20-3.39
La  0.5000  0.5000  0.3736  5 Sn 3.20-3.39
La  0.5000  0.5000  0.6264  5 Sn 3.20-3.39
Cd  0.0000  0.0000  0.5000  6 Sn 2.73-2.76
Cd  0.5000  0.5000  0.0000  6 Sn 2.73-2.76
Sn  0.0000  0.0000  0.3269  1 Cd 2.76
Sn  0.0000  0.0000  0.6731  1 Cd 2.76
Sn  0.0000  0.5000  0.0000  2 Cd 2.73
Sn  0.0000  0.5000  0.5000  2 Cd 2.73
Sn  0.5000  0.0000  0.0000  2 Cd 2.73
Sn  0.5000  0.0000  0.5000  2 Cd 2.73
Sn  0.5000  0.5000  0.1731  1 Cd 2.76
Sn  0.5000  0.5000  0.8269  1 Cd 2.76

The density of states at the Fermi level is 6.1 states/eV per cell. The magnetization comes out at 0.0 μB/cell. Its offset from the most stable computed form is 318 meV/atom.

***

Record 2
## DyHgPd2 (PBE-GGA)

Data for a relaxed DyHgPd2 crystal.

Lattice parameters (Å, degrees): 4.4778 4.4778 3.8904 90.00 90.00 90.00